**Request:**
The reader should say how many lines of the calculation results further down hold the word "Sr", as a bare number.

**Input:**
-- begin --
[1]
Here is a relaxed Fe2AsP crystal from the Alexandria database. Energies are from PBE.

Summary:
The value obtained for the volume is 63 Å³/f.u. As for the space group: R3m (160). For the total magnetization, the calculation gives 3.312 μB/f.u. The calculation puts the formation energy from the elements at 0.1170 eV/atom.

Unit cell a=9.341 b=9.341 c=9.341 alpha=17.31 beta=17.31 gamma=17.31
Last column: magnetic moment on the atom in μB.
Fractional coordinates of all 4 atoms:
Fe  0.991  0.991  0.991  2.01
Fe  0.255  0.255  0.255  1.73
As  0.724  0.724  0.724  -0.12
P  0.530  0.530  0.530  -0.12

***

[2]
Here is a relaxed NaLiZnBi crystal from the Alexandria database. Energies are from PBE.

Summary:
The value obtained for the volume is 92 Å³/f.u. As for the space group: F-43m (216). For the total magnetization, the calculation gives 0.000 μB/f.u. The calculation puts the formation energy from the elements at -0.1586 eV/atom.

Unit cell a=5.068 b=5.068 c=5.068 alpha=60.00 beta=60.00 gamma=60.00
Fractional coordinates of all 4 atoms:
Zn  0.250  0.250  0.250
Li  0.750  0.750  0.750
Bi  0.000  0.000  0.000
Na  0.500  0.500  0.500

***

[3]
Here is a relaxed CrBr crystal from the Alexandria database. Energies are from PBE.

Summary:
For the uncorrected formation energy, the calculation gives 0.124 eV/atom. The value obtained for the volume is 54 Å³/f.u. As for the space group: P3m1 (156). For the total magnetization, the calculation gives 0.003 μB/f.u.

Unit cell a=4.143 b=4.143 c=21.769 alpha=90.00 beta=90.00 gamma=120.00
Last column: magnetic moment on the atom in μB.
Fractional coordinates of all 12 atoms:
Br  0.667  0.333  0.586  0.05
Br  0.333  0.667  0.249  -0.05
Cr  0.000  0.000  0.704  3.84
Br  0.000  0.000  0.918  -0.05
Cr  0.333  0.667  0.966  3.83
Br  0.000  0.000  0.082  0.05
Br  0.333  0.667  0.414  0.05
Cr  0.667  0.333  0.366  -3.85
Cr  0.667  0.333  0.034  -3.83
Cr  0.000  0.000  0.296  3.84
Cr  0.333  0.667  0.634  -3.85
Br  0.667  0.333  0.751  -0.05

***

[4]
Here is a relaxed AgRu2Br crystal from the Alexandria database. Energies are from PBE.

Summary:
For the uncorrected formation energy, the calculation gives 0.466 eV/atom. The value obtained for the volume is 72 Å³/f.u. As for the space group: P4mm (99). For the total magnetization, the calculation gives 0.000 μB/f.u.

Unit cell a=2.948 b=2.948 c=8.242 alpha=90.00 beta=90.00 gamma=90.00
Fractional coordinates of all 4 atoms:
Ru  0.000  0.000  0.028
Br  0.500  0.500  0.798
Ru  0.500  0.500  0.213
Ag  0.000  0.000  0.460

***

[5]
Here is a relaxed Sr2YTe crystal from the Alexandria database. Energies are from PBE.

Summary:
For the uncorrected formation energy, the calculation gives -0.554 eV/atom. The value obtained for the volume is 154 Å³/f.u. As for the space group: Imm2 (44). For the total magnetization, the calculation gives 0.033 μB/f.u.

Unit cell a=7.306 b=7.306 c=7.306 alpha=147.63 beta=131.77 gamma=59.29
Fractional coordinates of all 4 atoms:
Te  0.513  0.513  0.000
Sr  0.295  0.795  0.500
Y  0.699  0.199  0.500
Sr  0.993  0.993  0.000

***

[6]
Here is a relaxed LiSc6Ru5 crystal from the Alexandria database. Energies are from PBE.

Summary:
The value obtained for the volume is 203 Å³/f.u. As for the space group: Immm (71). For the total magnetization, the calculation gives 0.000 μB/f.u. The calculation puts the formation energy from the elements at -0.5018 eV/atom.

Unit cell a=4.584 b=6.496 c=7.886 alpha=114.32 beta=106.90 gamma=90.00
Fractional coordinates of all 12 atoms:
Ru  0.337  0.837  0.674
Ru  0.334  0.334  0.668
Sc  0.828  0.085  0.656
Ru  0.000  0.500  0.000
Sc  0.172  0.915  0.344
Sc  0.172  0.429  0.344
Sc  0.828  0.571  0.656
Li  0.000  0.000  0.000
Sc  0.500  0.737  0.000
Ru  0.663  0.163  0.326
Sc  0.500  0.263  0.000
Ru  0.666  0.666  0.332

***

[7]
Here is a relaxed K8VS6 crystal from the Alexandria database. Energies are from PBE.

Summary:
-- stop --

**Outcome:**
2